Data:
____________
Below is a relaxed structure of Ca2Tm2Cd15, with properties calculated at the PBE-GGA level.

a b c (Å): 7.964 7.964 7.964
angles (deg): 77.94 77.94 77.94
Fractional coordinates of all 19 atoms:
Ca 0.174 0.174 0.174
Ca 0.826 0.826 0.826
Tm 0.404 0.404 0.404
Tm 0.596 0.596 0.596
Cd 0.000 0.500 0.500
Cd 0.132 0.132 0.645
Cd 0.132 0.645 0.132
Cd 0.205 0.500 0.795
Cd 0.205 0.795 0.500
Cd 0.355 0.868 0.868
Cd 0.500 0.000 0.500
Cd 0.500 0.205 0.795
Cd 0.500 0.500 0.000
Cd 0.500 0.795 0.205
Cd 0.645 0.132 0.132
Cd 0.795 0.205 0.500
Cd 0.795 0.500 0.205
Cd 0.868 0.355 0.868
Cd 0.868 0.868 0.355

Calculated values
Formation energy from the elements (kJ per mole of atoms): -13
Final energy (eV for the cell shown): -29.28
Density (g cm⁻³): 7.3
Volume (Å³/f.u.): 475.7
Size of the total moment (μB per formula unit): 0.00

Below is a relaxed structure of CaTm2Cd, with properties calculated at the PBE-GGA level.

a b c (Å): 4.948 4.948 4.706
angles (deg): 90.00 90.00 90.00
Fractional coordinates of all 4 atoms:
Ca 0.000 0.000 0.000
Tm 0.000 0.500 0.500
Tm 0.500 0.000 0.500
Cd 0.500 0.500 0.000

Calculated values
Formation energy from the elements (kJ per mole of atoms): -2
Final energy (eV for the cell shown): -11.94
Density (g cm⁻³): 7.1
Volume (Å³/f.u.): 115.2
Size of the total moment (μB per formula unit): 0.00
Energy above the most stable polymorph in this dataset (kJ/mol of formula units): 13

Below is a relaxed structure of CaTm2Cd, with properties calculated at the PBE-GGA level.

a b c (Å): 3.694 3.694 9.062
angles (deg): 90.00 90.00 90.00
Fractional coordinates of all 4 atoms:
Ca 0.000 0.000 0.000
Tm 0.500 0.500 0.302
Tm 0.500 0.500 0.698
Cd 0.000 0.000 0.500

Calculated values
Formation energy from the elements (kJ per mole of atoms): -5
Final energy (eV for the cell shown): -12.08
Density (g cm⁻³): 6.6
Volume (Å³/f.u.): 123.7
Size of the total moment (μB per formula unit): 0.00
Energy above the most stable polymorph in this dataset (kJ/mol of formula units): 0

Below is a relaxed structure of CaTmZnCd, with properties calculated at the PBE-GGA level.

a b c (Å): 3.674 3.674 7.381
angles (deg): 90.00 90.00 90.00
Fractional coordinates of all 4 atoms:
Ca 0.000 0.000 0.000
Tm 0.000 0.000 0.529
Zn 0.500 0.500 0.739
Cd 0.500 0.500 0.279

Calculated values
Formation energy from the elements (kJ per mole of atoms): -31
Final energy (eV for the cell shown): -9.94
Density (g cm⁻³): 6.4
Volume (Å³/f.u.): 99.7
Size of the total moment (μB per formula unit): 0.00
Energy above the most stable polymorph in this dataset (kJ/mol of formula units): 0

Below is a relaxed structure of CaTmZnCd, with properties calculated at the PBE-GGA level.

a b c (Å): 5.200 5.200 5.200
angles (deg): 60.00 60.00 60.00
Fractional coordinates of all 4 atoms:
Ca 0.000 0.000 0.000
Tm 0.500 0.500 0.500
Zn 0.250 0.250 0.250
Cd 0.750 0.750 0.750

Calculated values
Formation energy from the elements (kJ per mole of atoms): -28
Final energy (eV for the cell shown): -9.81
Density (g cm⁻³): 6.5
Volume (Å³/f.u.): 99.4
Size of the total moment (μB per formula unit): 0.00
Energy above the most stable polymorph in this dataset (kJ/mol of formula units): 12

Below is a relaxed structure of CaVCd, with properties calculated at the PBE-GGA level.

a b c (Å): 5.816 5.816 5.816
angles (deg): 121.43 114.95 93.25
Fractional coordinates of all 6 atoms:
Ca 0.000 0.000 0.000
Ca 0.734 0.234 0.500
V 0.357 0.022 0.665
V 0.357 0.692 0.335
Cd 0.355 0.588 0.767
Cd 0.821 0.588 0.233

Calculated values
Formation energy from the elements (kJ per mole of atoms): 18
Final energy (eV for the cell shown): -22.96
Density (g cm⁻³): 4.8
Volume (Å³/f.u.): 71.1
Size of the total moment (μB per formula unit): 0.00
Energy above the most stable polymorph in this dataset (kJ/mol of formula units): 0

Below is a relaxed structure of CaVCd, with properties calculated at the PBE-GGA level.

a b c (Å): 5.291 5.291 6.129
angles (deg): 104.61 104.61 59.75
Fractional coordinates of all 6 atoms:
Ca 0.000 0.000 0.000
____________
Work order:
Could you retype everything earlier on exactly?
Here it is:
Below is a relaxed structure of Ca2Tm2Cd15, with properties calculated at the PBE-GGA level.

a b c (Å): 7.964 7.964 7.964
angles (deg): 77.94 77.94 77.94
Fractional coordinates of all 19 atoms:
Ca 0.174 0.174 0.174
Ca 0.826 0.826 0.826
Tm 0.404 0.404 0.404
Tm 0.596 0.596 0.596
Cd 0.000 0.500 0.500
Cd 0.132 0.132 0.645
Cd 0.132 0.645 0.132
Cd 0.205 0.500 0.795
Cd 0.205 0.795 0.500
Cd 0.355 0.868 0.868
Cd 0.500 0.000 0.500
Cd 0.500 0.205 0.795
Cd 0.500 0.500 0.000
Cd 0.500 0.795 0.205
Cd 0.645 0.132 0.132
Cd 0.795 0.205 0.500
Cd 0.795 0.500 0.205
Cd 0.868 0.355 0.868
Cd 0.868 0.868 0.355

Calculated values
Formation energy from the elements (kJ per mole of atoms): -13
Final energy (eV for the cell shown): -29.28
Density (g cm⁻³): 7.3
Volume (Å³/f.u.): 475.7
Size of the total moment (μB per formula unit): 0.00

Below is a relaxed structure of CaTm2Cd, with properties calculated at the PBE-GGA level.

a b c (Å): 4.948 4.948 4.706
angles (deg): 90.00 90.00 90.00
Fractional coordinates of all 4 atoms:
Ca 0.000 0.000 0.000
Tm 0.000 0.500 0.500
Tm 0.500 0.000 0.500
Cd 0.500 0.500 0.000

Calculated values
Formation energy from the elements (kJ per mole of atoms): -2
Final energy (eV for the cell shown): -11.94
Density (g cm⁻³): 7.1
Volume (Å³/f.u.): 115.2
Size of the total moment (μB per formula unit): 0.00
Energy above the most stable polymorph in this dataset (kJ/mol of formula units): 13

Below is a relaxed structure of CaTm2Cd, with properties calculated at the PBE-GGA level.

a b c (Å): 3.694 3.694 9.062
angles (deg): 90.00 90.00 90.00
Fractional coordinates of all 4 atoms:
Ca 0.000 0.000 0.000
Tm 0.500 0.500 0.302
Tm 0.500 0.500 0.698
Cd 0.000 0.000 0.500

Calculated values
Formation energy from the elements (kJ per mole of atoms): -5
Final energy (eV for the cell shown): -12.08
Density (g cm⁻³): 6.6
Volume (Å³/f.u.): 123.7
Size of the total moment (μB per formula unit): 0.00
Energy above the most stable polymorph in this dataset (kJ/mol of formula units): 0

Below is a relaxed structure of CaTmZnCd, with properties calculated at the PBE-GGA level.

a b c (Å): 3.674 3.674 7.381
angles (deg): 90.00 90.00 90.00
Fractional coordinates of all 4 atoms:
Ca 0.000 0.000 0.000
Tm 0.000 0.000 0.529
Zn 0.500 0.500 0.739
Cd 0.500 0.500 0.279

Calculated values
Formation energy from the elements (kJ per mole of atoms): -31
Final energy (eV for the cell shown): -9.94
Density (g cm⁻³): 6.4
Volume (Å³/f.u.): 99.7
Size of the total moment (μB per formula unit): 0.00
Energy above the most stable polymorph in this dataset (kJ/mol of formula units): 0

Below is a relaxed structure of CaTmZnCd, with properties calculated at the PBE-GGA level.

a b c (Å): 5.200 5.200 5.200
angles (deg): 60.00 60.00 60.00
Fractional coordinates of all 4 atoms:
Ca 0.000 0.000 0.000
Tm 0.500 0.500 0.500
Zn 0.250 0.250 0.250
Cd 0.750 0.750 0.750

Calculated values
Formation energy from the elements (kJ per mole of atoms): -28
Final energy (eV for the cell shown): -9.81
Density (g cm⁻³): 6.5
Volume (Å³/f.u.): 99.4
Size of the total moment (μB per formula unit): 0.00
Energy above the most stable polymorph in this dataset (kJ/mol of formula units): 12

Below is a relaxed structure of CaVCd, with properties calculated at the PBE-GGA level.

a b c (Å): 5.816 5.816 5.816
angles (deg): 121.43 114.95 93.25
Fractional coordinates of all 6 atoms:
Ca 0.000 0.000 0.000
Ca 0.734 0.234 0.500
V 0.357 0.022 0.665
V 0.357 0.692 0.335
Cd 0.355 0.588 0.767
Cd 0.821 0.588 0.233

Calculated values
Formation energy from the elements (kJ per mole of atoms): 18
Final energy (eV for the cell shown): -22.96
Density (g cm⁻³): 4.8
Volume (Å³/f.u.): 71.1
Size of the total moment (μB per formula unit): 0.00
Energy above the most stable polymorph in this dataset (kJ/mol of formula units): 0

Below is a relaxed structure of CaVCd, with properties calculated at the PBE-GGA level.

a b c (Å): 5.291 5.291 6.129
angles (deg): 104.61 104.61 59.75
Fractional coordinates of all 6 atoms:
Ca 0.000 0.000 0.000